Saturday 1 September 2007

Baibras, Hero of Ayn Jalut

His name is still unknown to many in the Muslim World, his career and conquests however continue to shine above several generations as an example of courage, conviction and class for his headstrong approach and resilient attitude to come what may.

In 1258, when the Mongol Empire had smashed the Central Caliphate in Baghdad and left it in ruins amidst rivers of blood, Muslims the World over felt apprehensive at the prospect of further annihilation.

The Mongols seemed invincible, they had destroyed the World’s best armies in parrot fashion and then horribly sacked successive cities after submission with little respect for civilians, even farm animals were not spared massacre.

Two years later, Halaku Khan, the grand Mongol Khan, appeared in person to annex Syria to his empire. Aleppo, Antioch and Damascus fell within a short time, Muslim populations in all such cities and others were put to the sword, while the Christians were spared.

Prince Bohemond of Antioch and the [Christian] King of Armenia rode triumphantly in the streets with Halaku Khan, as Christians gradually replaced Muslims as the majority in Syria.

Despite reducing the Caliphate to rubble, the Mongol Emperor wanted Egypt as well. At the time, Egypt was a strong and thriving civilisation and although it did not possess the glitter and once magnificence of the Caliphate in Baghdad, it was nevertheless a powerful state, a state the Mongols wanted for themselves.

From Damascus, a message was delivered to Sultan Qutuz of Egypt. Submit and be safe or resist and be destroyed. Sultan Qutuz was not to be swayed that easily and replied he had every intention of remaining where he was and the Mongols wouldn’t dislodge him.

Sultan Qutuz moved first and an Egyptian army was sent to Syria for the inevitable confrontation. Halaku Khan similarly made plans to amass a huge army for the battle and lead them from the frontline.

It so happened, Mangu, a brother of Halaku Khan, died and the Mongol Emperor delegated the task of punishing Sultan Qutuz to his stepbrother, Ketbugha, and himself returned to attend his blood brother’s funeral and succession disputes.

The two determined empires met on the plains of Ayn Jalut near Galilee in Palestine. Here, 1200 years earlier, Jesus the Messiah, had once preached and lived. Now the stage was set for one of the bloodiest battles in history.

The two forces fought with distinction and much zeal, but ultimately the unexpected came to pass the invincible had been humbled, the Muslims had vanquished the myth of Mongol supremacy.

Not only had the Mongol army suffered defeat, but the greater part of it was practically cut to pieces and its commander, Ketbugha, was killed. The Mongols retreated, leaving behind most of their comrades and ablest soldiers on the battlefield.

Soon afterwards, while the Muslims had yet to savour the full effects of the historic occasion, Sultan Qutuz was assassinated and with his death, it seemed so did the dream of further conquests and efficient executive leadership.

Not so however, Baibras, who participated in the battle as a general, assumed office as his successor and with a vision of isolating those who had initiated and encouraged the aggression against Muslims in the first place; the Christians.

In 1263, Baibras crossed into the heart of Christian territory and pillaged Nazareth and Acre. The Church of Nazareth, which was little more than a shrine, was also demolished. This was in reality a slap in the face and not a fully fledged invasion of Christian held areas.

In 1265, Baibras was on the march again; this time the campaign was to be larger and bolder. The Christians were then grouped into two main divisions; the Templars and Hospitallers. Baibras first attacked the Templars and captured the fort of Athlit.

The Templars shut themselves inside the castle and Baibras proceeded to Arsuf; a Hospitaller fortress. Two hundred and seventy knights held the fort and it was taken by assault and all the knights perished. Baibras was now master of Galilee.

In 1266, Sufed, another fortress, this time belonging to the Templars, fell to Baibras and again all the knights perished. To prevent future attacks from Christians in outlying areas and protect their rear, villages inhabited by Christians were burnt along the way.

Next, the Egyptians moved up the coast and after vanquishing the Armenians, they besieged Antioch. Prince Bohemond, who was one of the defenders, purchased peace by paying a huge sum and agreeing to pay Jizya.

(Data records, as found in the file)
- - -
Entry 1:
Starting from a cell relaxed with PBE, the PXRD pattern of Nd8Ga3Co was computed for Cu Kα (λ = 1.5418 Å).

Crystal structure
Unit cell a=10.4510 b=10.4510 c=7.0141 alpha=90.00 beta=90.00 gamma=120.00
Fractional positions:
1 Nd 0.0000 0.0000 0.1053
2 Nd 0.0000 0.0000 0.6053
3 Nd 0.0737 0.5369 0.1171
4 Nd 0.1714 0.3429 0.8224
5 Nd 0.1714 0.8286 0.8224
6 Nd 0.3333 0.6667 0.5000
7 Nd 0.3429 0.1714 0.3224
8 Nd 0.4631 0.5369 0.1171
9 Nd 0.4631 0.9263 0.1171
10 Nd 0.5369 0.0737 0.6171
11 Nd 0.5369 0.4631 0.6171
12 Nd 0.6571 0.8286 0.8224
13 Nd 0.6667 0.3333 0.0000
14 Nd 0.8286 0.1714 0.3224
15 Nd 0.8286 0.6571 0.3224
16 Nd 0.9263 0.4631 0.6171
17 Ga 0.1643 0.3287 0.3623
18 Ga 0.1643 0.8357 0.3623
19 Ga 0.3287 0.1643 0.8623
20 Ga 0.6713 0.8357 0.3623
21 Ga 0.8357 0.1643 0.8623
22 Ga 0.8357 0.6713 0.8623
23 Co 0.3333 0.6667 0.8831
24 Co 0.6667 0.3333 0.3831

The 12 most intense peaks (10 to 90 degrees two-theta), sorted by position:
23.39°, 3.803 Å, I 11.6; 29.04°, 3.075 Å, I 37.1; 30.70°, 2.912 Å, I 16.6; 32.30°, 2.772 Å, I 100.0; 34.32°, 2.613 Å, I 78.8; 47.84°, 1.901 Å, I 18.6; 52.18°, 1.753 Å, I 13.3; 53.23°, 1.721 Å, I 9.5; 59.23°, 1.560 Å, I 10.6; 59.54°, 1.553 Å, I 12.6; 61.47°, 1.508 Å, I 9.1; 63.94°, 1.456 Å, I 13.9

Entry 2:
Starting from a cell relaxed with PBE, the PXRD pattern of Lu2HgAu was computed for Cu Kα (λ = 1.5418 Å).

Crystal structure
Unit cell a=5.0786 b=5.0786 c=5.0786 alpha=60.00 beta=60.00 gamma=60.00
Fractional positions:
1 Lu 0.2500 0.2500 0.2500
2 Lu 0.7500 0.7500 0.7500
3 Hg 0.0000 0.0000 0.0000
4 Au 0.5000 0.5000 0.5000

The 6 most intense peaks (10 to 90 degrees two-theta), sorted by position:
24.79°, 3.591 Å, I 0.6; 35.35°, 2.539 Å, I 100.0; 50.85°, 1.796 Å, I 18.0; 63.45°, 1.466 Å, I 37.3; 74.77°, 1.270 Å, I 11.7; 85.51°, 1.136 Å, I 17.0

Entry 3:
Starting from a cell relaxed with PBE, the PXRD pattern of LiY2Rh was computed for Cu Kα (λ = 1.5418 Å).

Crystal structure
Unit cell a=4.9592 b=4.9592 c=4.9592 alpha=60.00 beta=60.00 gamma=60.00
Fractional positions:
1 Li 0.0000 0.0000 0.0000
2 Y 0.2500 0.2500 0.2500
3 Y 0.7500 0.7500 0.7500
4 Rh 0.5000 0.5000 0.5000

The 12 most intense peaks (10 to 90 degrees two-theta), sorted by position:
21.95°, 4.049 Å, I 29.2; 25.40°, 3.507 Å, I 7.6; 36.23°, 2.480 Å, I 100.0; 42.76°, 2.115 Å, I 14.8; 52.17°, 1.753 Å, I 17.2; 57.26°, 1.609 Å, I 6.2; 58.89°, 1.568 Å, I 2.6; 65.16°, 1.432 Å, I 34.4; 69.66°, 1.350 Å, I 4.5; 76.90°, 1.240 Å, I 10.5; 81.13°, 1.185 Å, I 4.4; 88.09°, 1.109 Å, I 15.1

Entry 4:
Starting from a cell relaxed with PBE, the PXRD pattern of KZr6BI14 was computed for Cu Kα (λ = 1.5418 Å).

Crystal structure
Unit cell a=10.8847 b=10.8847 c=13.1350 alpha=90.00 beta=90.00 gamma=84.42
Fractional positions:
1 K 0.0000 0.0000 0.0000
2 K 0.5000 0.5000 0.5000
3 Zr 0.0421 0.1707 0.6084
4 Zr 0.1339 0.8661 0.5981
5 Zr 0.1707 0.0421 0.3916
6 Zr 0.3293 0.4579 0.8916
7 Zr 0.3661 0.6339 0.0981
8 Zr 0.4579 0.3293 0.1084
9 Zr 0.5421 0.6707 0.8916
10 Zr 0.6339 0.3661 0.9019
- - -
(End of the data records)

In 1267, the countryside across Acre was ravaged and the following year, Antioch was successfully besieged and captured by assault. In just four years, almost all of Christian held territory was recaptured and with it the Christian vision of expelling Islam from the Middle East was destroyed.

The Ninth Crusade

Events in the Middle East did not go unnoticed in Europe and Pope Clement IV urged the most able of Christian leaders; King Louis of France, a veteran of earlier crusades, to retrieve their positions.

King Louis, in earlier times as a youth twenty years ago, had been arrested and imprisoned in a failed crusade against the Muslims and was now past his prime. However, he complied and by 1270 he was ready for battle.

Unfortunately for Louis, misleading reports of a possible ally in the form of Tunisia, caught the attention of the eager monarch. It appeared the Tunisian ruler would forsake Islam and support the cross. The plan thus became to attack Egypt from Tunisia. Louis duly sailed to Africa, instead of Syria. He had just walked into a trap.

Upon arrival, the Christian army was immediately blockaded and the hot conditions, as well as the inability of access to water wells there added to growing thirst among the soldiers. Plague soon broke out and among the victims was none other than King Louis himself. Following his death, the Christians sued for peace and then sailed to France.

**Someone pasted crystal structures at this point**
┌──
K5As4: calculated X-ray powder pattern (Cu Kα (weighted mean of Kα1 and Kα2)), based on DFT lattice parameters and positions (PBE).

Peak list (6 most intense, 15 to 90 degrees two-theta, low angle first)
26.43°, d 3.372, I = 58; 27.36°, d 3.260, I = 56; 29.69°, d 3.009, I = 62; 30.29°, d 2.951, I = 76; 31.56°, d 2.834, I = 44; 34.26°, d 2.617, I = 100

Structure:
abc: 6.475 6.546 8.387
angles: 68.19 86.77 85.06
Fractional positions:
K 0.000 0.000 0.000
K 0.223 0.205 0.488
K 0.355 0.512 0.779
K 0.645 0.488 0.221
K 0.777 0.795 0.512
As 0.274 0.776 0.354
└──

After the fiasco of the ninth crusade seemed over, Baibras now centred his attention on finishing what he had started, namely the destruction of all remnants of Christian control in the Middle East.

In 1271, Krakdes Chavellers, a Templar stronghold was besieged and captured after a fortnight. Many fortresses thereafter chose capitulation than defeat in battle, although Montfort, a Teutonic castle, dismally held out but also fell after a week.

A new face appeared shortly afterwards. A European giant, 6ft7ins, known by his contemporaries as Edward Longshanks, but to the rest of the World, Prince Edward, heir to the throne in England, arrived to relieve the crusading spirit.

Unlike Louis, following in the footsteps of Richard I who had fought Sultan Salahudeen Yusuf Bin Ayyubi, in the Third Crusade (1189-92) a century earlier, Edward went straight to the Asian mainland of the Middle East and soon found himself in Acre.

After some initial skirmishes and bitter battles, Edward had resigned himself to the futility of continuing the campaign and agreed to an 11-year truce. A truce he held he would use to raise an even larger army and return as a victor in the future against Islam.

Despite his strong words, he never did return even when the opportunity presented itself more than once. The ninth crusade similarly failed to wield any significant results for Christians.

Baibras himself died in 1277, and although he did not live to see the end of Christian rule in the Middle East, he paved the way for it and his son and successor, Sultan Qalawun, and after him Sultan Al-Ashraf, a grandson of Baibras, continued his legacy and pushed the Christians further from complete encirclement.

By 1291, the Christians in the remaining footholds had become severely weakened due to internal rivalries, thereby inviting the Muslims to finalise the mission initiated by Baibras thirty years earlier.

Tripoli (now in Lebanon) was bombarded into submission and the Sultan took to the field in person. Next, Acre, the last outpost not under Muslim occupation came under scrutiny.

The siege began on 6th April 1291 and ended with the destruction of the garrison on 18th May 1291, approximately five weeks. Most Christians chose death to surrender and so few remained alive by the time the city capitulated.


Baibras had assumed importance at a time when it appeared Islam was on the brink of annihilation. The Mongols had conquered all those who had chosen to stand against them. At first, Baibras, saw service as a soldier under the tutelage of Sultan Qutuz and functioned as a general in the famous Battle of Ayn Jalut.

By the time of his own death seventeen years later, Baibras had participated in the last major crusade (1270-1272), fought and won against two separate European leaders of repute and reduced resident fortresses of Templars and Hospitallers and Christian strangulation of the Middle East to almost nothing.

1 comment:

Anonymous said...

All I can say is that islam and Muslims and Baitul Maqdas is calling for another Baibras and another Salahuddin to come to their rescue.
May Allah grant the most blessed place in heaven to Baibras
Dr Saleem Adil